Exercise:
Work out how many lines below have the word "peaks" in them; a number is enough.

Entries:
____________
[1]
Structure and theoretical X-ray powder pattern of Ga2PdI8 (a crystal structure in the Materials Project, relaxed with PBE; λ = 1.5418 Å (Cu Kα)).
Intensities are scaled so that the largest is 100.

Cell and atoms:
```
11
Lattice="7.246 -4.686 0.000 7.246 4.686 0.000 -1.233 0.000 8.005" Properties=species:S:1:pos:R:3 pbc="T T T"
Ga 2.624 0.000 2.711
Ga 10.636 0.000 5.293
Pd 0.000 0.000 0.000
I 4.565 2.819 6.816
I 1.710 0.000 5.075
I 8.695 2.819 1.189
I 5.134 0.000 2.492
I 8.126 0.000 5.513
I 4.565 -2.819 6.816
I 11.550 0.000 2.930
I 8.695 -2.819 1.189
```

Top 10 peaks for 2θ from 10° to 80°, in order of falling intensity:
d (Å), I_rel
3.411, 100
3.745, 73
5.851, 58
2.318, 58
3.991, 47
4.044, 45
2.111, 39
7.842, 37
5.794, 34
3.581, 30

---

[2]
Structure and theoretical X-ray powder pattern of Nb4CrS8 (a crystal structure in the Materials Project, relaxed with PBE; λ = 1.5418 Å (Cu Kα)).
Intensities are scaled so that the largest is 100.

Cell and atoms:
```
26
Lattice="6.694 0.000 0.000 -3.347 5.797 0.000 0.000 0.000 12.085" Properties=species:S:1:pos:R:3 pbc="T T T"
Nb 0.000 0.000 3.021
Nb 0.000 0.000 9.064
Nb -1.610 2.935 3.021
Nb 1.610 2.935 3.021
Nb 0.000 5.724 3.021
Nb 3.347 0.073 9.064
Nb 1.737 2.862 9.064
Nb 4.957 2.862 9.064
Cr 0.000 0.000 0.000
Cr 0.000 0.000 6.042
S 0.000 1.925 7.491
S 0.000 1.925 10.637
S -1.680 4.835 7.491
S -1.680 4.835 10.637
S 1.667 0.963 1.448
S 1.667 0.963 4.594
S 0.000 3.865 1.412
S 0.000 3.865 4.631
S 3.347 1.932 7.454
S 3.347 1.932 10.673
S 1.680 4.835 7.491
S 1.680 4.835 10.637
S 5.027 0.963 1.448
S 5.027 0.963 4.594
S 3.347 3.872 1.448
S 3.347 3.872 4.594
```

Top 10 peaks for 2θ from 10° to 80°, in order of falling intensity:
d (Å), I_rel
2.092, 100
6.042, 80
2.614, 70
2.899, 37
1.674, 36
1.307, 20
2.819, 19
2.353, 14
1.654, 14
1.613, 13

---

[3]
Structure and theoretical X-ray powder pattern of LaEr3 (a crystal structure in the Materials Project, relaxed with PBE; λ = 1.5418 Å (Cu Kα)).
Intensities are scaled so that the largest is 100.

Cell and atoms:
```
4
Lattice="-2.535 2.535 5.053 2.535 -2.535 5.053 2.535 2.535 -5.053" Properties=species:S:1:pos:R:3 pbc="T T T"
La 0.000 0.000 0.000
Er 2.535 0.000 2.527
Er 0.000 0.000 5.053
Er 0.000 2.535 2.527
```

Top 10 peaks for 2θ from 10° to 80°, in order of falling intensity:
d (Å), I_rel
2.924, 100
1.791, 36
2.535, 34
1.528, 29
2.527, 17
1.525, 14
1.462, 12
1.268, 4
1.263, 2
4.532, 1

---

[4]
Structure and theoretical X-ray powder pattern of HfO2 (a crystal structure in the Materials Project, relaxed with PBE; λ = 1.5418 Å (Cu Kα)).
Intensities are scaled so that the largest is 100.

Cell and atoms:
```
24
Lattice="5.184 0.000 0.000 0.000 5.297 0.000 0.000 0.000 10.169" Properties=species:S:1:pos:R:3 pbc="T T T"
Hf 0.214 0.833 1.403
Hf 0.214 1.816 6.487
Hf 2.378 3.481 1.403
Hf 2.378 4.464 6.487
Hf 2.806 0.833 3.682
Hf 2.806 1.816 8.766
Hf 4.970 3.481 3.682
Hf 4.970 4.464 8.766
O 0.869 3.536 5.426
O 0.869 4.410 0.341
O 1.290 3.111 7.888
O 1.290 4.834 2.803
O 1.302 0.462 7.888
O 1.302 2.186 2.803
O 1.723 0.887 5.426
O 1.723 1.761 0.341
O 3.461 3.536 9.828
O 3.461 4.410 4.743
O 3.883 3.111 7.366
O 3.883 4.834 2.281
O 3.894 0.462 7.366
O 3.894 2.186 2.281
O 4.315 0.887 9.828
O 4.315 1.761 4.743
```

Top 10 peaks for 2θ from 10° to 80°, in order of falling intensity:
d (Å), I_rel
2.994, 100
3.481, 33
2.563, 20
2.501, 19
1.822, 19
2.542, 17
1.815, 17
1.499, 15
2.592, 15
1.613, 13

---

[5]
Structure and theoretical X-ray powder pattern of Mg14TiMo (a crystal structure in the Materials Project, relaxed with PBE; λ = 1.5418 Å (Cu Kα)).
Intensities are scaled so that the largest is 100.

Cell and atoms:
```
16
Lattice="10.046 0.000 0.000 0.000 3.050 5.530 0.000 -3.050 5.530" Properties=species:S:1:pos:R:3 pbc="T T T"
Mg 0.000 0.000 0.000
Mg 0.000 -1.518 2.774
Mg 0.000 0.000 5.518
Mg 0.000 1.518 2.774
Mg 2.539 0.000 7.299
Mg 2.621 0.000 1.743
Mg 2.631 -1.550 4.628
Mg 2.631 1.550 4.628
Mg 5.023 1.512 8.315
Mg 5.023 -1.512 8.315
____________

Reply:
4